Children...the Future Of The Church Series
Contributed by David Henderson on Nov 28, 2017 (message contributor)
Summary: In this message I am speaking to the great need we have in our churches today to reach children. We had 11 people volunteer during the invitation to teach children in our church.
Misplaced calculated molecules =
Entry 1:
{"formula": "C26H36HgO7", "method": "the ωB97M-V functional and the def2-TZVPD basis", "symbols": ["C", "C", "O", "C", "C", "C", "C", "C", "C", "C", "C", "O", "C", "C", "C", "O", "C", "C", "O", "C", "C", "C", "C", "C", "C", "C", "O", "C", "C", "O", "C", "C", "O", "H", "H", "H", "H", "H", "H", "H", "H", "H", "H", "H", "H", "H", "H", "H", "H", "H", "H", "H", "H", "H", "H", "H", "H", "H", "H", "H", "H", "H", "H", "H", "H", "H", "H", "H", "H", "Hg"], "coordinates": [[9.67, -1.14, 0.57], [8.39, -0.74, 1.41], [7.39, -0.07, 0.59], [6.12, -0.59, 1.00], [5.00, 0.25, 0.28], [4.54, 1.55, 1.08], [3.87, 2.65, 0.14], [2.72, 2.07, -0.79], [1.28, 2.58, -0.46], [0.89, 3.27, 0.68], [-0.60, 3.71, 0.93], [-0.91, 4.67, 1.58], [-1.69, 2.78, 0.29], [-3.03, 2.61, 0.79], [-4.01, 1.68, 0.09], [-5.28, 1.48, 0.45], [-5.44, 1.16, 1.86], [-5.05, -0.37, 2.07], [-5.65, -1.10, 0.97], [-6.99, -1.49, 1.39], [-6.86, -2.99, 1.92], [-3.54, 0.88, -1.14], [-2.18, 1.01, -1.70], [-1.70, 0.18, -2.96], [-0.51, -0.77, -2.47], [-0.45, -2.15, -3.24], [-1.59, -2.99, -2.94], [-1.51, -3.54, -1.65], [-2.59, -3.03, -0.59], [-0.71, -4.37, -1.32], [-1.28, 1.98, -0.98], [0.17, 2.23, -1.52], [0.50, 2.21, -2.69], [9.55, -2.20, 0.23], [10.57, -1.05, 1.24], [9.79, -0.48, -0.34], [7.92, -1.68, 1.81], [8.65, -0.06, 2.29], [6.01, -1.67, 0.66], [5.94, -0.51, 2.11], [5.28, 0.48, -0.79], [4.08, -0.41, 0.21], [5.47, 1.99, 1.55], [3.78, 1.23, 1.85], [3.59, 3.57, 0.71], [4.70, 2.97, -0.56], [2.94, 2.42, -1.85], [2.67, 0.95, -0.84], [1.64, 3.52, 1.47], [-3.37, 3.17, 1.71], [-6.56, 1.24, 2.07], [-4.94, 1.87, 2.57], [-5.39, -0.77, 3.06], [-3.93, -0.50, 1.92], [-7.39, -0.85, 2.23], [-7.74, -1.40, 0.55], [-6.16, -3.50, 1.19], [-7.86, -3.50, 1.98], [-6.31, -2.97, 2.90], [-4.24, 0.14, -1.68], [-2.53, -0.44, -3.39], [-1.38, 0.93, -3.73], [0.51, -0.28, -2.60], [-0.66, -0.99, -1.37], [-0.28, -2.03, -4.34], [0.46, -2.71, -2.83], [-2.24, -2.04, -0.19], [-3.55, -2.88, -1.17], [-2.69, -3.81, 0.21], [-5.32, -1.36, -2.49]], "total_charge": 2, "homo_ha": -0.4899, "total_energy_ev": -46026.4922}



Entry 2:
“Children...the Future of our Church”
Mark 10:13-16
Children are great aren’t they? I read a story this week of a little boy who had just gotten into bed and was thirsty. The conversation went like this. The little bot called our from upstairs Dad can I have a glass of water please? He says no go to sleep. Dad I’m thirsty can I have a glass of water please? No go to sleep. Daaaad, I’m really thirsty, can I have a glass of water please????? No and if you ask once more I’ll spank you. Long silence. Dad when you come in to spank me can you bring a glass of water please?
Children can be persistent and they can say some things that can really be funny. These are some actual letters a group of children wrote to God
* from Neil....Dear God, I went to this wedding and they kissed right in church. Is that O.K.?
* from Nan....Dear God, I bet it is very hard for to love everybody in the whole world. There are only 4 people in our family and I can never do it.
* from Mickey...Dear God, if you watch on Sunday I will show you my new shoes.
* from Denise..Dear God, if we come back a something please don’t let me be Jennifer Horton because I hate her.
* from Raphael....Dear God, if you give me a genie lamp like Alladin has i will give you anything you want except my money or my chess set.
* from Larry...Dear God, maybe Cain and Abel would not have killed each so much if they had their own rooms. It works with my brother.
In the ancient world in the day of Jesus children were not very important. If you were counting the number of people present at an event, women and children were not even counted. Some people literally threw them away. Or they might keep the child if it was a boy but cast it away if it was a girl. This was the world that Jesus lived in...it was a world that did not have time for children. It is different today but unfortunately in some ways it is still similar. I hear stories it seems every week of babies being found in dumpsters unwanted. The disciples were preventing the little children from coming to Jesus. Often we do the same thing. (1) We do it by our attitude....children are a bother, they’re messy, they’re noisy in church (2) we do it by our example. We say do what i say not what I do. (3) by our theology. We say children can’t understand the Bible. They’re too young. Now the text we have read this morning is recorded in 3 of the gospels, Matthew, Mark and Luke...all have a record of this conversation...i think that something of its importance.
It is easy for us to think that kids just get into trouble, they’re a bother or they simply don’t matter. But Jesus took the time to minister to children. On 2 occasions when he fed large groups of people he also fed the children. And it was a young boy who gave Him the fish and bread to feed the 5000. In Matthew 18, Jesus called a little child to Him and had him stand among the disciples. It strikes me that Jesus didn’t have to look for a child-there was one nearby and I think that’s the way it was. Jesus loved the little children and they loved Him also. And because Jesus loved children so much w should do the same. I see 3 steps he calls all of us to take in this passage.
1. Let children come to Jesus. Notice in verse 13. People were bringing little children to Jesus...it was customary...it happened all the time. The people that brought them didn’t think twice-they knew how Jesus treated children. But the disciples didn’t like the interruption. They were trying to protect Jesus so they scolded the parents (rebuked). You know Jesus has more important things to do. The word used here “rebuke” is strong. It’s the same word used when He rebuked the wind and the sea in the gospel of Mark. It means to be muzzled. Now we think how could the disciples be like this? But you and I have to be careful too. With our attitude because we may be more like the disciples than we realize.
Verse 14 says Jesus was indignant with the disciples. It’s a strong word, used only once in the NT. It means to grieve much. The question is why. Here’s what I believe...Jesus knew we have a limited window of opportunity here...children grow up fast and we’ve got to give our best to them during these years. Listen to what the Barna research group tells us...if a person does not accept Jesus Christ as their Savior before the age of 14, the likelihood of them ever making a decision is slim. The older a person gets without accepting Christ the less likely they are ever to do so. Write this down. Over 80% of those who ever give their life to Christ do so before the age of 18.